Leaked Files Reveal Ethical Concerns, Pseudoscience in WPATH Standards of Care

For years, the World Professional Association for Transgender Health (WPATH) has often been spoken of as one of the world’s leading authorities on so-called “gender medicine.” The organization’s “standards of care” have been widely looked to by doctors searching for guidance to help their young patients who may suffer from gender dysphoria.
But recently leaked internal discussions within WPATH have confirmed what critics have known and warned of for years: that those “standards of care” are neither scientific nor ethical. Rather, they constitute a politically and ideologically driven campaign that pushes harmful, experimental, unnecessary, and often-irreversible medical interventions on confused children and adults.
WPATH’s history: ideology over evidence
WPATH was formed in 1978 as the Harry Benjamin International Gender Dysphoria Association (HBIGDA). Based in part on the work of German endocrinologist Harry Benjamin, HBIGDA began developing “standards of care” (SOC) for treating what many now call “gender dysphoria” (formerly “gender identity disorder” or “transsexualism”). The first standards came out in 1979.
But as subsequent standards were created, activists began to have more sway in their formation. Dr. Stephen B. Levine, who chaired the SOC5 committee in 1998 (the 5th iteration of HBIGDA’s standards of care), eventually resigned from his role in HBIGDA in 2002 due to his “regretful conclusion that the organization and its recommendations had become dominated by politics and ideology, rather than by scientific process...”
In 2007, HBIGDA rebranded itself as the World Professional Association for Transgender Health (WPATH). SOC7, published in 2012, was highly influential. Yet SOC7 continued to disregard scientific and ethical principles, making assertions such as that puberty blockers are “fully reversible” without supporting scientific evidence.
The latest iteration of WPATH’s standards of care, SOC8, was published in 2022. The standards continue to radicalize, to the point that hundreds of scientists and mental health professionals have signed a statement saying that WPATH has discredited itself. To list just a few of the new changes, SOC8:
- Included a whole chapter on eunuchs as a “gender identity” to be validated with hormonal or surgical castration. If a man merely “identifies” as a eunuch, this could warrant removing his genitals to match his claimed identity.
# Materials data, as found in the file
Record 1
Starting from a crystal structure in Alexandria, relaxed with GGA-PBE, the PXRD pattern of NaY4ThS8 was simulated for Cu Kα (weighted mean of Kα1 and Kα2).
Lines closer than 0.1° are merged.

Atomic structure:
```
14
Lattice="4.045 2.335 6.738 -4.045 2.335 6.738 0.000 -4.671 6.738" Properties=species:S:1:pos:R:3 pbc="T T T"
Na 0.000 0.000 0.000
Y -2.083 -1.203 9.306
Y 0.000 0.000 5.180
Y 2.083 -1.203 9.306
Y 0.000 2.406 9.306
Th 0.000 0.000 12.757
S 0.000 -2.208 10.928
S -1.912 1.104 10.928
S 0.000 0.000 7.833
S -1.860 -1.074 14.467
S 1.912 1.104 10.928
S 0.000 0.000 17.512
S 1.860 -1.074 14.467
S 0.000 2.147 14.467
```

Largest 10 diffraction maxima, in order of rising 2θ, 10 to 90 degrees two-theta:
2theta	I (rel.)
13.38	97
15.39	25
21.97	30
25.44	49
25.69	100
31.06	82
40.73	38
40.90	30
44.20	53
44.81	52



Record 2
Starting from a crystal structure in Alexandria, relaxed with GGA-PBE, the PXRD pattern of NaTi5S8 was simulated for Cu Kα (weighted mean of Kα1 and Kα2).
Lines closer than 0.1° are merged.

Atomic structure:
```
14
Lattice="8.835 -1.708 0.000 8.835 1.708 0.000 -2.342 0.000 8.554" Properties=species:S:1:pos:R:3 pbc="T T T"
Na 0.000 0.000 0.000
Ti 1.723 0.000 4.202
Ti 1.713 0.000 7.298
Ti 7.693 0.000 4.293
Ti 13.668 0.000 1.293
Ti 13.660 0.000 4.386
S -0.169 0.000 5.703
S 3.801 0.000 2.848
S 6.041 0.000 0.065
S 5.773 0.000 5.846
S 9.612 0.000 2.742
S 9.342 0.000 8.525
S 11.583 0.000 5.742
S 15.553 0.000 2.886
```

Largest 10 diffraction maxima, in order of rising 2θ, 10 to 90 degrees two-theta:
2theta	I (rel.)
10.36	100
12.58	41
32.92	32
33.67	69
34.69	24
39.60	33
41.07	52
42.60	28
53.64	27
53.90	45



Record 3
Starting from a crystal structure in Alexandria, relaxed with GGA-PBE, the PXRD pattern of Na2Ti3S6 was simulated for Cu Kα (weighted mean of Kα1 and Kα2).
Lines closer than 0.1° are merged.

Atomic structure:
```
11
Lattice="3.003 -5.201 0.000 3.003 5.201 0.000 -2.004 0.000 6.902" Properties=species:S:1:pos:R:3 pbc="T T T"
Na 3.003 3.468 0.000
Na 3.003 -3.468 0.000
Ti -1.002 0.000 3.451
Ti 2.001 1.738 3.451
Ti 2.001 -1.738 3.451
S 0.003 1.727 4.888
S 1.008 0.000 2.017
S 0.003 -1.727 4.888
S 3.999 1.727 2.015
S 2.994 0.000 4.885
S 3.999 -1.727 2.015
```

Largest 10 diffraction maxima, in order of rising 2θ, 10 to 90 degrees two-theta:
2theta	I (rel.)
12.83	65
34.53	100
42.92	15
46.31	33
52.80	28
54.58	7
57.81	9
64.63	14
78.15	9
88.11	11



Record 4
Starting from a crystal structure in Alexandria, relaxed with GGA-PBE, the PXRD pattern of Na3Ti10S20 was simulated for Cu Kα (weighted mean of Kα1 and Kα2).
Lines closer than 0.1° are merged.

Atomic structure:
```
33
Lattice="2.971 -8.567 0.000 2.971 8.567 0.000 -1.975 0.000 13.269" Properties=species:S:1:pos:R:3 pbc="T T T"
Na 0.000 0.000 0.000
Na 2.158 3.251 0.041
Na 2.158 -3.251 0.041
Ti 0.096 3.434 9.709
Ti 0.078 0.000 3.609
Ti 0.107 0.000 9.717
Ti 3.079 5.134 3.592
Ti 0.096 -3.434 9.709
Ti 3.075 1.700 3.585
Ti 3.059 1.700 9.721
Ti 3.075 -1.700 3.585
- Removed minimum age requirements for puberty blockers, cross-sex hormones, and surgeries so doctors could “use their judgment” for giving these so-called “treatments” to younger and younger patients. (WPATH made this change just days after publishing SOC8.)
- Contained a chapter on “nonbinary” interventions for patients who desire no genitals or both sets of genitals.
Despite mounting evidence undermining WPATH’s “standards” from both national and international sources, WPATH continues to double down on advocating for harmful, experimental, unnecessary, and often-irreversible medical interventions for children and adults.
What do the WPATH files reveal?
The leaked internal discussions, including emails and videos of internal panel discussions, (WPATH files), were published by Environmental Progress, a U.S.-based think tank.
In the WPATH files, doctors, nurses, and other WPATH members had frank discussions about problems and concerns they frequently encounter in their practices. These discussions exposed numerous scientific and ethical deficiencies surrounding WPATH’s standards of care.
Informed consent
A major topic of conversation was whether children could give informed consent to undergoing these life-altering procedures when they (and often their parents) don’t understand the full ramifications of their decisions, e.g., infertility.
In a panel discussion, one doctor noted that some of these kids “haven’t even had biology in high school yet.” Another said, “It’s out of their developmental range sometimes to understand the extent to which some of these medical interventions are impacting them.”
Do these concerns stop WPATH from pushing so-called “transitions” on vulnerable children? No. Children cannot give informed consent to such life-changing decisions—and WPATH knows it.
Psychiatric comorbidities
Numerous studies show that children and adolescents who are referred to gender clinics have high rates of other pre-existing psychological conditions like depression, anxiety, post-traumatic stress disorder, borderline personality disorder, autism, dissociative identity disorder, etc. Many such mental health issues often predate any distress about their sex. Nevertheless, even patients with severe mental health issues are frequently pushed toward “transition.”
One nurse practitioner discussed struggling with whether to put a patient on hormones who also had PTSD, major depressive disorder, observed dissociations, and schizoid typical traits. Dr. Dan Karasic, the lead author of WPATH’s SOC8 chapter on mental health, responded, “I’m missing why you are perplexed … The mere presence of psychiatric illness should not block a person’s ability to start hormones…”
Downplaying detransition
It is well known within WPATH membership that many people who are put through these life-altering procedures later come to regret it, especially given the long-term health consequences like infertility and the lifelong medical treatments that must follow. Many of these patients, commonly referred to as “detransitioners,” stop identifying as the opposite sex and seek treatment to mitigate the impact of previous procedures. A lengthy set of chatroom entries is about how to “reframe” patients’ serious regret as simply “normal” exploration of gender over time.
WPATH is a discredited organization
The issues listed above barely begin to cover the extent of the unethical and pseudoscientific work of WPATH. The organization’s recent standards of care are born of a precommitment to a radical gender ideology and turn vulnerable children and adults into live test subjects.
WPATH has discredited itself, and no medical organization or government should use its “standards of care” as a basis for its decisions.